I am just going to ignore the other replies and take this serious: It is really not a good idea to tell your interviewer too much about certain social positions of yours. Most things are, at least here, prohibited by law to ask about, such as whether someone is going to try and start a family soon, whether they are married, if they have had a history of illnesses and so forth. Things that could potentially mean that you won't get the job based on assumptions. Of course, in some cases the interviewer has the right to do so, in case of chronic diseases that might have an impact on the work done (if you need to have frequent breaks due to something, for example), but they may not judge your potential on this information alone.
While, as mentioned, it is a good idea to ask about privileges, vacations, pay and other such crucial information, it should be done so in a professional manner, alongside any other questions you might have for your hopefully future employer. And it is always a good plan to actually have something planned in advance, so you seem ready to take charge and can work on your own. Hence, it is a bad idea to seem lazy, bored or otherwise not engage in a proper dialogue, however skilled and educated you are.
Otherwise, behaving like a regular, sane person will do the trick.
Quantum chemistry results, as found in the file =
+++
Molecular formula: C23H38GaN2O7S
Method: DFT, the ωB97M-V functional and the def2-TZVPD basis

The geometry in ORCA input format:
```
! wB97M-V def2-TZVPD RIJCOSX def2/J DEFGRID3
* xyz -1 1
C 2.598 -2.910 -2.504
C 1.429 -2.234 -2.393
C 0.166 -3.020 -2.697
O -0.025 -3.379 -3.825
O -0.627 -3.265 -1.646
C -1.949 -3.730 -1.980
C -2.887 -3.185 -0.891
C -2.575 -3.711 0.519
C -2.955 -2.611 1.532
C -1.783 -1.587 1.688
C -2.280 -0.160 1.364
Ga -0.769 1.212 1.353
C 0.386 0.779 -0.297
O 1.741 1.278 -0.206
C 2.073 2.174 -1.236
C 0.267 1.224 3.104
C 1.683 1.664 2.973
C 2.025 3.062 2.477
N 2.618 0.846 3.257
N -1.617 3.010 1.077
C -2.014 3.189 -0.032
S -2.487 3.500 -1.557
H 2.694 -3.799 -1.884
H 3.375 -2.600 -3.193
H 1.358 -1.202 -2.054
H -1.971 -4.821 -1.918
H -2.313 -3.355 -2.931
H -2.784 -2.103 -0.946
H -3.903 -3.422 -1.224
H -3.140 -4.635 0.674
H -1.506 -3.916 0.576
H -3.841 -2.064 1.207
H -3.221 -3.083 2.484
H -1.448 -1.643 2.724
H -0.997 -1.842 0.975
H -2.765 -0.197 0.381
H -3.050 0.129 2.091
H -0.162 1.165 -1.165
H 0.451 -0.313 -0.395
H 1.205 2.698 -1.645
H 2.605 1.643 -2.042
H 2.773 2.914 -0.830
H 0.276 0.241 3.579
H -0.223 1.908 3.812
H 2.737 3.030 1.656
H 1.133 3.623 2.191
H 2.521 3.592 3.295
H 3.520 1.306 3.098
O 5.082 2.370 3.478
C 6.006 1.896 2.891
O 6.981 1.166 3.494
C 7.999 0.828 2.540
C 7.323 0.924 1.181
C 6.302 2.033 1.411
H 8.823 1.538 2.646
H 8.369 -0.173 2.750
H 8.019 1.124 0.367
H 6.806 -0.009 0.958
H 6.721 3.023 1.228
H 5.399 1.889 0.822
O -3.346 -0.090 -2.547
C -4.505 0.164 -2.662
O -5.431 -0.764 -3.046
C -6.712 -0.139 -3.203
C -6.647 1.127 -2.363
C -5.173 1.511 -2.468
H -6.865 0.075 -4.264
H -7.489 -0.823 -2.866
H -7.332 1.903 -2.704
H -6.891 0.896 -1.325
H -4.972 2.130 -3.343
H -4.812 2.001 -1.571
*
```

For the energy above the lowest of the compared OMol25 structures with the same formula, charge and spin, the calculation gives 0.000 eV. The HOMO-LUMO gap comes out at 7.01 eV. For the HOMO energy, the calculation gives -4.59 eV. For the total energy, the calculation gives -3858.329088 hartree.

Mulliken atomic charge list, values in e, 8 entries: C -0.777; C -0.090; C 0.692; O -0.501; O -0.142; C -0.912; C 0.391; C -0.850
+++
I heard that if they ask you if you have any questions you should try to say ask at least something (i.i. don't say no)
I think that shows that you put some thought into what you want to know about the company and that you really care. If you don't ask any questions it could give off the image that you are not that interested, at least not as interested as someone that asks questions.
"Do we really need this interview? Come on dude, you know I'm the dude for the job! I'm the hotdog, you're the bun, now let's get together and have some fun!"
"My last job was in Narnia. Your lack of centaurs is disturbing,"
One of my favorites: "What's that smell?" then either: "oh, it's just what I think of this company" or "ahh, I understand.. I like to get drunk before I interview my victims too."
Then why place it in the Tavern when Voidy has been locking threads with little content? Thread suicide? Considering you even numbered your own suggestions kinda leads to the whole "How to get kicked out of [...]" and "You know you play too much [...] when" threads, both in the forum games.
But fine, look, I can play this game, I mean, answer this thread too: Nothing. You should never say nothing during an interview.